The Epidemic of Weak Men
Looking out my window, I see that spring has arrived. I love watching new plants emerge from the soil and old favorites bloom after a season of dormancy.
Soon those fledgling plants will grow tall and strong, with a sturdy stem and deep, hearty roots.
With a little TLC, these plants can thrive, produce flowers, and can even create sturdy offspring as mirror images of themselves.
Just like those plants blossom; young, wild boys seem to grow in the blink of an eye.
Hopefully, like my tiny plants, boys will mature into men with deep roots of faith and a sturdy “stem” of biblical values.
But there’s an epidemic sweeping our world, one where the modern man is viewed as a weak, buffoon who can do little right.
Few TV shows and movies portray a dad who is strong, godly and isn’t weak in some way.
When the role of the father is downgraded and portrayed as a fool, it damages the family unit and God’s design for families.
God created man in His image, to guide the family unit with strength, dignity, and to be in charge as the head of household.
Man is to shepherd his family spiritually and to be an active participant in family life, not just provide financially.
This concept is far from popular, and if we’re honest, we’ll admit that man has strayed from God’s design.
How can we rally around men and change this pattern of society?
While it might seem pie-in-the-sky to believe that we can change the course of a sinful, fallen world, we can take steps to encourage the men in our lives and in our community to be whom God created him to be, thus strengthening the family unit one man at a time.
We can start mending this epidemic, with support and encouragement from these three crucial communities.
Women can …
- Love her husband where he’s at, flaws and all.
- Recognize that she can not, no matter how much she wants to, change her husband.
- Don’t compare him to other men and embrace who he is as a person.
- Pray for salvation, in case he doesn’t know the Christ as Savior.
- Hit her knees and pray that God will grow her spouse, into a godly man who seeks the Lord.
- Encourage mentoring with a godly male who will hold him accountable to being a strong, godly husband and father.
- Allow him to lead the family, even if he’s fumbling through it.
The family unit can….
When we look at men who are strong in faith, character, and in action, it didn’t happen by chance.
God got a hold of that man at some point in his life, and His Truth took root and blossomed in his heart.
When God’s Truth takes root, it changes a life and belief system, while calling for a change in behavior.
Molecular data that have nothing to do with the page:
<<<
(1)
Density functional theory data (the ωB97M-V functional and the def2-TZVPD basis) for a 11-piece molecular cluster, C25H54N20O15 overall.

```
114
Properties=species:S:1:pos:R:3:mulliken_charge:R:1
C -4.281 0.078 -5.734 -1.400
C -5.101 0.932 -4.754 -0.284
C -4.503 0.835 -3.332 -0.842
C -5.608 0.924 -2.246 -1.104
C -6.006 -0.418 -1.744 0.865
C -5.504 -1.059 -0.694 0.680
O -4.519 -0.570 0.084 -0.228
C -4.465 -1.011 1.400 0.038
O -5.436 -1.225 2.047 -0.506
C -3.089 -1.118 1.905 0.844
C -2.143 -0.134 1.614 -0.492
C -0.851 -0.228 2.121 -0.475
C -0.498 -1.319 2.917 -0.573
C -1.437 -2.308 3.219 -0.986
C -2.724 -2.203 2.704 -0.866
C -6.174 -2.399 -0.613 0.210
O -6.146 -3.259 0.188 -0.475
O -6.946 -2.511 -1.750 -0.350
C -7.027 -1.280 -2.375 0.067
O -7.798 -1.059 -3.242 -0.549
H -4.506 0.365 -6.756 0.411
H -3.227 0.238 -5.522 0.312
H -4.501 -0.971 -5.554 0.332
H -6.135 0.601 -4.723 0.263
H -5.078 1.972 -5.068 0.415
H -3.872 1.711 -3.194 0.309
H -3.896 -0.061 -3.234 0.561
H -5.219 1.485 -1.402 0.427
H -6.476 1.409 -2.682 0.367
H -2.401 0.713 0.993 0.505
H -0.087 0.519 1.936 0.998
H 0.507 -1.396 3.305 0.439
H -1.164 -3.147 3.850 0.627
H -3.459 -2.968 2.914 0.524
N 2.796 3.290 1.824 -0.203
C 2.570 2.128 2.512 0.129
N 3.628 1.676 3.228 -0.156
O 1.498 1.538 2.458 -0.632
H 3.672 3.778 1.846 0.160
H 2.040 3.659 1.280 0.176
H 3.503 0.820 3.735 0.144
H 4.523 2.143 3.259 0.273
N 6.270 -0.720 -0.145 -0.337
C 5.092 -0.357 0.483 0.196
N 4.504 0.740 -0.041 0.292
O 4.650 -0.993 1.428 -0.709
H 6.650 -0.216 -0.928 0.212
H 6.751 -1.523 0.214 0.218
H 3.644 1.052 0.374 0.050
H 4.886 1.253 -0.820 0.131
N -0.766 -7.362 4.218 -0.424
C -0.282 -6.088 4.310 0.583
N 1.035 -5.984 4.657 -0.361
O -0.980 -5.111 4.094 -0.591
H -0.213 -8.180 4.388 0.154
H -1.729 -7.468 3.962 0.217
H 1.419 -5.061 4.730 0.209
H 1.626 -6.773 4.837 0.167
N 7.737 4.169 1.973 -0.409
C 6.885 3.132 2.226 0.694
N 7.205 1.943 1.662 -0.301
O 5.884 3.295 2.918 -0.795
H 8.556 4.104 1.398 0.142
H 7.502 5.050 2.388 0.265
H 6.583 1.171 1.822 0.158
H 8.012 1.806 1.087 0.161
N 5.454 5.530 0.042 -0.338
C 5.463 4.734 -1.072 0.661
N 5.295 5.403 -2.253 -0.445
O 5.607 3.523 -1.039 -0.608
H 5.352 6.525 -0.002 0.160
H 5.561 5.083 0.935 0.161
H 5.295 4.854 -3.092 0.229
H 5.173 6.395 -2.318 0.142
N 3.265 -1.161 -3.270 -0.351
C 3.947 -0.074 -3.733 0.719
N 3.557 0.387 -4.956 -0.442
O 4.843 0.451 -3.088 -0.610
H 2.519 -1.610 -3.771 0.145
H 3.521 -1.515 -2.366 0.179
H 4.040 1.185 -5.322 0.224
H 2.822 -0.030 -5.496 0.149
N -3.000 0.915 4.774 -0.277
C -2.601 2.221 4.757 0.628
N -3.332 3.060 5.563 -0.423
O -1.672 2.624 4.082 -0.598
H -3.768 0.582 5.324 0.167
H -2.496 0.265 4.197 0.158
H -3.069 4.026 5.576 0.235
H -4.102 2.755 6.128 0.142
N -0.535 -0.145 -1.151 -0.173
C -0.074 -1.420 -1.320 0.536
N 0.817 -1.838 -0.372 -0.129
O -0.428 -2.131 -2.248 -0.733
H -0.254 0.447 -0.391 0.141
H -1.194 0.197 -1.823 0.180
H 1.173 -2.771 -0.459 0.209
H 1.122 -1.268 0.397 0.057
N 5.628 -2.909 -2.715 -0.168
C 6.087 -4.185 -2.884 0.510
>>>
While there are many strong men with rough backgrounds, the family can try to raise a God-fearing man by encouraging strength from the Lord and by instilling His virtues from the beginning. They can…
- Raise their sons in a Bible based home, while praying for salvation at an early age.
- Grow their boy with biblical principles and teach what the Bible says about being a man after God’s own heart.
- Offer a godly, male role model, even if the father is not one. Find a relative or friend from church to shepherd the young boy and demonstrate the life of a strong man of God in action.
- Be involved with putting limits on his time and activities, as to place value on time together.
- Outline Truth from God’s Word against the ways of society, such as pornography, so the child has a strong foundation in Christ to stand on when temptation comes.
- Offer a safe place to discuss temptation and sin, pointing back to the Word of God as the compass for life.
Men can…
- Embrace God’s calling on their life as the head of the house and spiritual leader of the family.
- Study God’s Word to be a living example to their children.
- Get to know their children and make them a priority.
- Put Christ at the center of the home with family devotional and prayer time.
- Allow the Holy Spirit to convict and change behavior as a relationship with the Lord deepens.
- Find a mentor and/or godly role models who aren’t afraid to speak Truth and offer accountability.
- Love their wife and show children how a strong, godly man treats a woman.
Friends, if I’m being honest, I look at this list and think, wow, is this possible?
And then I remember that with God, ALL things are possible!
God can take a broken, weak man, and refine His character.
God can strengthen the family unit as dads become aware of their role and pray for revival.
God can restore family relationships when He becomes the center of the home.
While we can’t change society or their warped views, we can vow to stop the epidemic of weak men in our own home and in our community.
We can rally around those men we see trying to lead their families and who are standing firm for Christian values, and we can offer a helping hand to those who are struggling.
Together, let’s spark a revival in the homes and churches around the world, reclaiming men as pillars of the home and creating strong families once again! #strongfamilyproject